### To do
Retype the lines further down up to the one that holds "-1.504 0.1", that line included.

### Input
Record 1
103
Properties=species:S:1:pos:R:3:forces:R:3 method="wB97M-V/def2-TZVPD" energy_ev=-99034.7967 smiles="CC(=O)OCCCCCCCCBc1ccccn1.O=S1(=O)CCCC1.O=S1(=O)CCCC1.O=S1(=O)CCCC1.O=S1(=O)CCCC1" e_lumo_ev=0.4 homo_energy_ha=-0.319 homo_lumo_gap_ev=9.06
C 6.212 -2.971 2.233 1.0 0.8 0.2
C 5.457 -2.246 1.097 -0.7 -0.7 -0.1
O 4.258 -2.271 1.120 -0.4 0.0 -0.1
O 6.055 -1.622 0.042 0.7 -0.2 2.0
C 7.373 -1.095 0.331 0.8 1.1 -2.0
C 7.495 0.290 -0.431 0.8 -0.3 1.2
C 7.306 1.462 0.601 -1.0 0.5 -1.2
C 6.492 2.682 0.015 0.7 0.0 0.7
C 6.183 3.671 1.204 -0.2 -0.2 -0.4
C 4.766 4.328 1.145 0.5 0.1 0.1
C 3.609 3.283 0.994 -0.3 0.0 0.3
C 2.544 3.305 2.171 0.0 0.9 0.0
B 1.107 3.297 1.485 0.1 -0.8 0.5
C 0.221 1.969 1.311 1.9 1.9 0.4
C 0.937 0.751 1.318 -0.8 -1.4 -0.2
C 0.251 -0.492 1.126 -1.6 2.1 -0.2
C -1.158 -0.304 0.937 1.5 -0.1 0.2
C -1.714 0.998 0.998 -2.0 -0.2 -0.2
N -1.119 2.192 1.179 1.2 -3.1 -0.3
H 7.161 -3.453 1.919 -0.6 0.3 0.0
H 6.489 -2.202 2.999 -0.1 -0.5 -0.6
H 5.566 -3.695 2.767 0.2 0.5 -0.8
H 8.130 -1.783 -0.114 -0.5 0.2 0.7
H 7.557 -0.872 1.399 -0.2 -0.6 -0.5
H 8.544 0.349 -0.799 -0.7 -0.1 0.0
H 6.823 0.339 -1.310 0.2 -0.1 0.7
H 6.709 1.111 1.479 0.6 0.1 -0.5
H 8.300 1.839 0.920 -0.6 -0.4 0.1
H 5.584 2.302 -0.499 0.5 0.3 0.4
H 7.105 3.225 -0.744 -0.5 -0.5 0.4
H 6.270 3.118 2.167 -0.1 0.3 -0.6
H 6.988 4.440 1.203 -0.6 -0.3 0.2
H 4.769 5.071 0.315 -0.2 -0.5 0.4
H 4.609 4.917 2.081 0.1 -0.4 -0.7
H 4.030 2.252 0.961 -0.3 0.7 -0.3
H 3.060 3.491 0.043 0.6 -0.4 0.5
H 2.653 4.302 2.672 -0.1 -0.8 -0.2
H 2.702 2.525 2.943 0.1 0.3 -0.6
H 0.686 4.346 1.096 -0.1 -0.1 -0.1
H 2.029 0.755 1.472 -0.7 0.1 0.0
H 0.697 -1.496 1.106 0.0 0.7 0.1
H -1.809 -1.173 0.744 0.2 0.7 0.1
H -2.820 1.054 0.876 0.8 -0.1 0.1
O -5.371 -1.512 -3.206 0.2 -0.2 0.1
S -4.914 -0.601 -2.183 -0.2 0.5 0.2
O -3.940 -0.993 -1.190 0.1 -0.4 -0.2
C -4.363 0.907 -2.968 0.1 0.4 -0.2
C -5.618 1.768 -3.050 -0.1 0.0 0.0
C -6.323 1.604 -1.700 0.1 0.1 0.1
C -6.343 0.108 -1.369 -0.2 0.0 0.0
H -3.931 0.681 -3.942 0.0 -0.1 0.1
H -3.613 1.363 -2.320 0.0 -0.1 0.0
H -5.374 2.811 -3.256 0.0 0.0 0.0
H -6.267 1.408 -3.850 0.0 0.0 0.0
H -5.763 2.145 -0.930 0.0 0.0 0.0
H -7.332 2.016 -1.720 0.0 0.0 0.0
H -6.270 -0.068 -0.296 0.1 -0.2 -0.1
H -7.243 -0.387 -1.768 1.0 0.2 0.3
O -8.988 -0.512 -2.047 -0.7 0.2 -0.3
S -9.485 0.270 -3.159 -0.5 -0.1 -0.4
O -8.649 1.204 -3.871 0.2 -0.1 0.3
C -10.249 -0.837 -4.332 -0.3 -0.3 -0.2
C -11.698 -0.937 -3.867 -0.1 0.0 0.1
C -12.117 0.491 -3.499 -0.1 0.0 -0.1
C -10.993 1.094 -2.649 -0.4 0.2 0.1
H -9.729 -1.793 -4.331 0.2 0.1 0.1
H -10.182 -0.374 -5.318 0.1 0.0 0.1
H -12.338 -1.360 -4.642 0.0 0.0 0.0
H -11.764 -1.580 -2.986 0.0 0.0 -0.1
H -12.245 1.079 -4.411 0.0 0.0 0.0
H -13.066 0.507 -2.964 0.1 0.0 0.0
H -10.891 2.164 -2.815 0.2 -0.1 0.1
H -11.143 0.895 -1.588 0.1 0.0 0.0
O 2.438 -2.333 -4.843 0.1 0.2 0.0
S 2.071 -1.673 -3.613 -0.2 0.1 0.3
O 2.645 -0.408 -3.225 0.2 -0.1 -0.3
C 0.289 -1.552 -3.542 -0.4 -0.1 0.0
C -0.152 -2.850 -2.875 0.0 -0.1 0.0
C 0.828 -3.079 -1.721 -0.1 0.0 0.0
C 2.242 -2.842 -2.263 0.0 -0.3 0.4
H -0.112 -1.425 -4.545 0.2 0.1 0.0
H 0.040 -0.688 -2.924 0.1 0.0 0.0
H -1.183 -2.789 -2.526 0.0 0.0 0.0
H -0.084 -3.678 -3.587 0.0 0.1 0.0
H 0.618 -2.366 -0.921 0.0 0.0 -0.1
H 0.731 -4.081 -1.301 0.0 0.0 0.0
H 2.902 -2.421 -1.504 0.1 0.1 -0.1
H 2.675 -3.758 -2.664 0.0 0.1 -0.1
O 2.801 0.575 4.596 -0.1 0.0 -0.1
S 2.507 -0.830 4.744 0.0 -0.3 -0.1
O 1.365 -1.442 4.117 0.0 0.3 0.0
C 3.971 -1.762 4.324 0.4 -0.1 0.2
C 4.739 -1.871 5.637 0.0 0.1 0.1
C 3.689 -2.188 6.709 0.1 -0.1 0.0
C 2.511 -1.232 6.492 0.1 -0.2 0.5
H 4.525 -1.246 3.544 -0.3 0.1 -0.1
H 3.651 -2.743 3.972 -0.1 0.1 -0.1
H 5.511 -2.640 5.587 0.0 0.0 0.0
H 5.225 -0.918 5.867 0.0 0.0 0.0
H 3.352 -3.221 6.593 0.0 0.0 0.0
H 4.097 -2.088 7.715 0.0 0.0 0.0
H 1.562 -1.695 6.756 -0.1 0.1 -0.1
H 2.640 -0.306 7.051 0.0 0.0 -0.1

---

Record 2
97

### Completed
Record 1
103
Properties=species:S:1:pos:R:3:forces:R:3 method="wB97M-V/def2-TZVPD" energy_ev=-99034.7967 smiles="CC(=O)OCCCCCCCCBc1ccccn1.O=S1(=O)CCCC1.O=S1(=O)CCCC1.O=S1(=O)CCCC1.O=S1(=O)CCCC1" e_lumo_ev=0.4 homo_energy_ha=-0.319 homo_lumo_gap_ev=9.06
C 6.212 -2.971 2.233 1.0 0.8 0.2
C 5.457 -2.246 1.097 -0.7 -0.7 -0.1
O 4.258 -2.271 1.120 -0.4 0.0 -0.1
O 6.055 -1.622 0.042 0.7 -0.2 2.0
C 7.373 -1.095 0.331 0.8 1.1 -2.0
C 7.495 0.290 -0.431 0.8 -0.3 1.2
C 7.306 1.462 0.601 -1.0 0.5 -1.2
C 6.492 2.682 0.015 0.7 0.0 0.7
C 6.183 3.671 1.204 -0.2 -0.2 -0.4
C 4.766 4.328 1.145 0.5 0.1 0.1
C 3.609 3.283 0.994 -0.3 0.0 0.3
C 2.544 3.305 2.171 0.0 0.9 0.0
B 1.107 3.297 1.485 0.1 -0.8 0.5
C 0.221 1.969 1.311 1.9 1.9 0.4
C 0.937 0.751 1.318 -0.8 -1.4 -0.2
C 0.251 -0.492 1.126 -1.6 2.1 -0.2
C -1.158 -0.304 0.937 1.5 -0.1 0.2
C -1.714 0.998 0.998 -2.0 -0.2 -0.2
N -1.119 2.192 1.179 1.2 -3.1 -0.3
H 7.161 -3.453 1.919 -0.6 0.3 0.0
H 6.489 -2.202 2.999 -0.1 -0.5 -0.6
H 5.566 -3.695 2.767 0.2 0.5 -0.8
H 8.130 -1.783 -0.114 -0.5 0.2 0.7
H 7.557 -0.872 1.399 -0.2 -0.6 -0.5
H 8.544 0.349 -0.799 -0.7 -0.1 0.0
H 6.823 0.339 -1.310 0.2 -0.1 0.7
H 6.709 1.111 1.479 0.6 0.1 -0.5
H 8.300 1.839 0.920 -0.6 -0.4 0.1
H 5.584 2.302 -0.499 0.5 0.3 0.4
H 7.105 3.225 -0.744 -0.5 -0.5 0.4
H 6.270 3.118 2.167 -0.1 0.3 -0.6
H 6.988 4.440 1.203 -0.6 -0.3 0.2
H 4.769 5.071 0.315 -0.2 -0.5 0.4
H 4.609 4.917 2.081 0.1 -0.4 -0.7
H 4.030 2.252 0.961 -0.3 0.7 -0.3
H 3.060 3.491 0.043 0.6 -0.4 0.5
H 2.653 4.302 2.672 -0.1 -0.8 -0.2
H 2.702 2.525 2.943 0.1 0.3 -0.6
H 0.686 4.346 1.096 -0.1 -0.1 -0.1
H 2.029 0.755 1.472 -0.7 0.1 0.0
H 0.697 -1.496 1.106 0.0 0.7 0.1
H -1.809 -1.173 0.744 0.2 0.7 0.1
H -2.820 1.054 0.876 0.8 -0.1 0.1
O -5.371 -1.512 -3.206 0.2 -0.2 0.1
S -4.914 -0.601 -2.183 -0.2 0.5 0.2
O -3.940 -0.993 -1.190 0.1 -0.4 -0.2
C -4.363 0.907 -2.968 0.1 0.4 -0.2
C -5.618 1.768 -3.050 -0.1 0.0 0.0
C -6.323 1.604 -1.700 0.1 0.1 0.1
C -6.343 0.108 -1.369 -0.2 0.0 0.0
H -3.931 0.681 -3.942 0.0 -0.1 0.1
H -3.613 1.363 -2.320 0.0 -0.1 0.0
H -5.374 2.811 -3.256 0.0 0.0 0.0
H -6.267 1.408 -3.850 0.0 0.0 0.0
H -5.763 2.145 -0.930 0.0 0.0 0.0
H -7.332 2.016 -1.720 0.0 0.0 0.0
H -6.270 -0.068 -0.296 0.1 -0.2 -0.1
H -7.243 -0.387 -1.768 1.0 0.2 0.3
O -8.988 -0.512 -2.047 -0.7 0.2 -0.3
S -9.485 0.270 -3.159 -0.5 -0.1 -0.4
O -8.649 1.204 -3.871 0.2 -0.1 0.3
C -10.249 -0.837 -4.332 -0.3 -0.3 -0.2
C -11.698 -0.937 -3.867 -0.1 0.0 0.1
C -12.117 0.491 -3.499 -0.1 0.0 -0.1
C -10.993 1.094 -2.649 -0.4 0.2 0.1
H -9.729 -1.793 -4.331 0.2 0.1 0.1
H -10.182 -0.374 -5.318 0.1 0.0 0.1
H -12.338 -1.360 -4.642 0.0 0.0 0.0
H -11.764 -1.580 -2.986 0.0 0.0 -0.1
H -12.245 1.079 -4.411 0.0 0.0 0.0
H -13.066 0.507 -2.964 0.1 0.0 0.0
H -10.891 2.164 -2.815 0.2 -0.1 0.1
H -11.143 0.895 -1.588 0.1 0.0 0.0
O 2.438 -2.333 -4.843 0.1 0.2 0.0
S 2.071 -1.673 -3.613 -0.2 0.1 0.3
O 2.645 -0.408 -3.225 0.2 -0.1 -0.3
C 0.289 -1.552 -3.542 -0.4 -0.1 0.0
C -0.152 -2.850 -2.875 0.0 -0.1 0.0
C 0.828 -3.079 -1.721 -0.1 0.0 0.0
C 2.242 -2.842 -2.263 0.0 -0.3 0.4
H -0.112 -1.425 -4.545 0.2 0.1 0.0
H 0.040 -0.688 -2.924 0.1 0.0 0.0
H -1.183 -2.789 -2.526 0.0 0.0 0.0
H -0.084 -3.678 -3.587 0.0 0.1 0.0
H 0.618 -2.366 -0.921 0.0 0.0 -0.1
H 0.731 -4.081 -1.301 0.0 0.0 0.0
H 2.902 -2.421 -1.504 0.1 0.1 -0.1